Laura Wasser clients: Who has Laura Wasser represented?

Laura Wassers Star-Studded Legal Roster: A Glimpse into Her Celebrity Clients Laura Allison Wasser, the esteemed American attorney renowned for her prowess in divorce law, has carved a niche for herself as a go-to expert for high-profile dissolutions.With a storied career and a clientele that reads like a whos who of Hollywood, her influence on

Laura Wasser’s Star-Studded Legal Roster: A Glimpse into Her Celebrity Clients

(Between two parts of the piece: records of crystals)
[1]
A geometry-optimized DyZnGaIr structure, computed with PBE-GGA.

```
data_DyZnGaIr
_space_group_name_H-M_alt 'F -4 3 m'
_space_group_IT_number 216
_space_group_name_Hall 'F -4 2 3'
_cell_length_a 6.487
_cell_length_b 6.487
_cell_length_c 6.487
_cell_angle_alpha 90.00
_cell_angle_beta 90.00
_cell_angle_gamma 90.00
loop_
_atom_site_label
_atom_site_fract_x
_atom_site_fract_y
_atom_site_fract_z
Dy1 0.000 0.000 0.000
Zn1 0.250 0.250 0.750
Ga1 0.250 0.250 0.250
Ir1 0.000 0.000 0.500
```

Computed properties:
Crystal system = cubic
Raw total energy = -4.94 eV per atom
Spin magnetization = 0.000 μB/atom



[2]
A geometry-optimized LiDyMgHg structure, computed with PBE-GGA.

```
data_LiDyMgHg
_space_group_name_H-M_alt 'F -4 3 m'
_space_group_IT_number 216
_space_group_name_Hall 'F -4 2 3'
_cell_length_a 7.039
_cell_length_b 7.039
_cell_length_c 7.039
_cell_angle_alpha 90.00
_cell_angle_beta 90.00
_cell_angle_gamma 90.00
loop_
_atom_site_label
_atom_site_fract_x
_atom_site_fract_y
_atom_site_fract_z
Li1 0.000 0.000 0.000
Dy1 0.250 0.250 0.250
Mg1 0.250 0.250 0.750
Hg1 0.000 0.000 0.500
```

Computed properties:
Crystal system = cubic
Raw total energy = -2.42 eV per atom
Spin magnetization = 0.000 μB/atom



no.,formation energy (eV per atom)
1,-0.50
2,-0.32

* * * * *

## PrTmSc (PBE)

Data for a relaxed structure of PrTmSc.

The structure in POSCAR format:
```
PrTmSc
1.0
7.475 0.000 0.000
0.000 7.475 0.000
0.000 0.000 7.475
Pr Tm Sc
4 4 4
direct
0.000 0.000 0.000 Pr
0.000 0.500 0.500 Pr
0.500 0.000 0.500 Pr
0.500 0.500 0.000 Pr
0.000 0.000 0.500 Tm
0.000 0.500 0.000 Tm
0.500 0.000 0.000 Tm
0.500 0.500 0.500 Tm
0.250 0.250 0.250 Sc
0.250 0.750 0.750 Sc
0.750 0.250 0.750 Sc
0.750 0.750 0.250 Sc
```

energy above the most stable polymorph in this dataset: 0 meV/atom
ΔE_f: 0.682 eV per atom
symmetry: F-43m, No. 216

## LaDy2TmGa4 (PBE)

Data for a relaxed structure of LaDy2TmGa4.

The structure in POSCAR format:
```
LaDy2TmGa4
1.0
6.728 0.000 0.000
0.000 4.445 0.000
0.000 0.000 13.158
La Dy Tm Ga
2 4 2 8
direct
0.000 0.000 0.000 La
0.000 0.500 0.500 La
0.000 0.000 0.722 Dy
0.000 0.500 0.222 Dy
0.500 0.000 0.168 Dy
0.500 0.500 0.668 Dy
0.500 0.000 0.892 Tm
0.500 0.500 0.392 Tm
0.199 0.000 0.344 Ga
0.199 0.500 0.844 Ga
0.311 0.000 0.543 Ga
0.311 0.500 0.043 Ga
0.689 0.000 0.543 Ga
0.689 0.500 0.043 Ga
0.801 0.000 0.344 Ga
0.801 0.500 0.844 Ga
```

electronic total energy: -71.10 eV/cell
symmetry: Amm2, No. 38

Copy entry 2 word for word.
## LaDy2TmGa4 (PBE)

Data for a relaxed structure of LaDy2TmGa4.

The structure in POSCAR format:
```
LaDy2TmGa4
1.0
6.728 0.000 0.000
0.000 4.445 0.000
0.000 0.000 13.158
La Dy Tm Ga
2 4 2 8
direct
0.000 0.000 0.000 La
0.000 0.500 0.500 La
0.000 0.000 0.722 Dy
0.000 0.500 0.222 Dy
0.500 0.000 0.168 Dy
0.500 0.500 0.668 Dy
0.500 0.000 0.892 Tm
0.500 0.500 0.392 Tm
0.199 0.000 0.344 Ga
0.199 0.500 0.844 Ga
0.311 0.000 0.543 Ga
0.311 0.500 0.043 Ga
0.689 0.000 0.543 Ga
0.689 0.500 0.043 Ga
0.801 0.000 0.344 Ga

Laura Allison Wasser, the esteemed American attorney renowned for her prowess in divorce law, has carved a niche for herself as a go-to expert for high-profile dissolutions. With a storied career and a clientele that reads like a who’s who of Hollywood, her influence on the legal and celebrity landscapes is undeniable. As we dive into the intricacies of her work, we unveil the notable figures Laura Wasser has represented.

Born on May 23, 1968, in Los Angeles, California, Laura Wasser’s journey as a legal powerhouse has been marked by her specialization in divorce cases. Her unparalleled expertise in navigating complex marital dissolutions has made her a sought-after legal mind, earning her the role of Chief of Divorce Evolution for

A Star-Studded Clientele

Laura Wasser’s list of clients reads like a star-studded red-carpet event. From A-list actors to music icons, her roster includes individuals who have graced the covers of magazines and dominated headlines. Some of her most high-profile and high-net-worth clients have included:

  • Angelina Jolie
  • Heidi Klum
  • Kim Kardashian
  • Kris Jenner
  • Johnny Depp
  • Ryan Reynolds
  • Christina Aguilera
  • Hilary Duff
  • Stevie Wonder
  • Kelis
  • Patricia Arquette
  • Kate Walsh
  • Johnny Knoxville
  • Jimmy Iovine
  • Maria Shriver
  • Olivier Martinez

These notable figures represent just a fraction of the diverse range of clients Laura Wasser has represented over the years. Her ability to navigate the intricacies of high-stakes divorces and her commitment to providing tailored legal solutions have solidified her reputation as a trusted advocate.

A Legacy of Influence

Laura Wasser’s impact extends beyond the courtroom. Her involvement in high-profile cases has not only garnered attention but has also ignited conversations about divorce law, financial negotiations, and the challenges that come with dissolving high-profile unions.

'''
DFT (PBE) results for a geometry-optimized SrIn2Mo structure.

abc: 7.4753 7.4753 7.4753
angles: 90.00 90.00 90.00
Space group F-43m (No. 216)
Inequivalent atoms, fractional coordinates:
Sr1 0.0000 0.0000 0.0000 (multiplicity 4)
In1 0.0000 0.0000 0.5000 (multiplicity 4)
In2 0.2500 0.2500 0.2500 (multiplicity 4)
Mo1 0.2500 0.2500 0.7500 (multiplicity 4)

Magnetic moment = 0.95 μB per atom
Total DFT energy (no corrections) = -3.877 eV per atom

* * * * *

Below is a relaxed HoPuN2 crystal, with properties calculated at the PBE-GGA level.

```
HoPuN2
1.0
-2.241 2.431 0.756
-3.185 -0.826 0.824
-0.234 0.199 6.276
N Pu Ho
2 1 1
direct
0.250 0.250 0.250
0.079 0.079 0.762
0.500 0.500 0.500
0.671 0.671 0.987
```

Results
**Formation energy from raw total energies**: -1.273 eV/atom
**Mass density**: 12197 kg/m³
**Density of states at the Fermi level**: 5.4 states/eV/f.u.


Below is a relaxed Ho4PuN4 crystal, with properties calculated at the PBE-GGA level.

```
Ho4PuN4
1.0
-3.632 -1.393 -4.037
3.903 -3.233 -2.395
-1.817 -1.918 6.189
Ho Pu N
4 1 4
direct
0.279 0.279 0.559
0.000 0.500 0.000
0.721 0.721 0.441
0.500 0.000 0.000
0.000 0.000 0.000
0.883 0.364 0.248
0.636 0.636 0.752
0.364 0.883 0.248
0.117 0.117 0.752
```

Results
**Energy relative to the lowest polymorph listed for this composition**: 5.30 eV per formula unit
**Formation energy from raw total energies**: -0.808 eV/atom
**Mass density**: 9326 kg/m³
**Density of states at the Fermi level**: 14.8 states/eV/f.u.


Below is a relaxed Ho2Pu3N4 crystal, with properties calculated at the PBE-GGA level.

```
Ho2Pu3N4
1.0
3.392 0.000 0.834
1.514 5.787 1.159
-0.099 0.464 7.717
N Pu Ho
4 3 2
direct
0.799 0.098 0.305
0.604 0.700 0.093
0.201 0.902 0.695
0.396 0.300 0.907
0.799 0.598 0.804
0.000 0.000 0.000
0.201 0.402 0.196
0.393 0.824 0.390
0.607 0.176 0.610
```

Results
**Formation energy from raw total energies**: -1.214 eV/atom
**Mass density**: 12316 kg/m³
**Density of states at the Fermi level**: 17.6 states/eV/f.u.


Below is a relaxed HoPuN crystal, with properties calculated at the PBE-GGA level.

```
HoPuN
1.0
4.250 0.000 0.000
2.125 3.681 0.000
2.125 1.227 3.470
N Ho Pu
1 1 1
direct
0.250 0.250 0.250
0.500 0.500 0.500
0.000 0.000 0.000
```

Results
**Energy relative to the lowest polymorph listed for this composition**: 1.97 eV per formula unit
**Formation energy from raw total energies**: -0.191 eV/atom
**Mass density**: 12937 kg/m³
**Density of states at the Fermi level**: 6.3 states/eV/f.u.

* * * * *

A geometry-optimized K4Cu2SbAs structure. Source: the Open Quantum Materials Database, functional PBE.

Lattice parameters (Å, degrees): 6.077 6.430 6.430 106.10 90.00 90.00
Fractional positions:
1 Sb 0.500 0.238 0.238
2 As 0.000 0.746 0.746
3 Cu 0.774 0.992 0.992
4 Cu 0.226 0.992 0.992
5 K 0.500 0.822 0.494
6 K 0.500 0.494 0.822
7 K 0.000 0.533 0.183
8 K 0.000 0.183 0.533

## Properties
Energy: -2.92 eV/atom
'''

As Laura Wasser continues to make her mark in the world of law, her legacy serves as a reminder of the profound influence that legal professionals can have on the lives of their clients, especially in situations as sensitive and complex as divorce. Her ability to manage the delicate balance between legal expertise and celebrity clientele speaks to her prowess as a legal luminary in her field.

